Friday, August 07, 2009

How to Get Cancer: Move to the U.S. ... by gimletye

Our readers might find this article of interest:


How to Get Cancer: Move to the United States

By LiveScience Staff

posted: 06 August 2009 08:12 am ET

The risk of cancer for Hispanics living in Florida is 40 percent higher than for those who live in their native countries, a puzzling new study finds.

The finding holds even after researchers corrected for the increase detection rates in the United States. And access to health care did not make things better.

"This suggests that changes in their environment and lifestyles make them more prone to develop cancer," said Dr. Paulo S. Pinheiro, a researcher in the Department of Epidemiology at the University of Miami Miller School of Medicine.

The results are detailed in the journal Cancer Epidemiology, Biomarkers & Prevention.

Cancers of the colon and rectum among Cubans and Mexicans who moved to the United States was more than double that in Cuba and Mexico. Lung cancer among Mexican and Puerto Rican women living in Florida was also double the rates in their countries of origin.

Other cancer rates that were higher in the states:

Tobacco-related cancers among Cuban men.
Liver cancer among Puerto Rican men.
Cervical cancer among Mexican women.
The findings also show that different ethnic groups face different risks.

"Don't assume that all Hispanics are the same," said Amelie G. Ramirez, director of the Institute for Health Promotion Research. "Physicians should probe Hispanic patients more on their background and family history to identify any problematic behaviors that could contribute to health problems."

The causes of cancer are myriad, from inherited propensities to viruses to a range of environmental factors and lifestyle choices.

Ramirez, who was not involved in the research, notes that nearly one in every three U.S. residents will be Hispanic by 2050.

In a statement from the American Association for Cancer Research, Ramirez and Pinheiro both suggest Hispanics avoid adopting unhealthy lifestyles that may be more common in the United States, such as smoking, drinking and bad diets.


sparky said...

The entry is interrupted by materials data:
- - -
Entry 1:
First-principles (PBE) data for a relaxed structure of Rb4Zn7As7, as listed in the Materials Project.

```
Rb4Zn7As7
1.0
2.274 -12.370 0.000
2.274 12.370 0.000
0.000 0.000 17.331
Rb Zn As
8 14 14
Direct
0.000 0.000 0.000
0.000 0.000 0.500
0.140 0.860 0.612
0.140 0.860 0.888
0.287 0.713 0.750
0.713 0.287 0.250
0.860 0.140 0.112
0.860 0.140 0.388
0.003 0.997 0.250
0.148 0.852 0.109
0.148 0.852 0.391
0.284 0.716 0.531
0.284 0.716 0.969
0.426 0.574 0.671
0.426 0.574 0.829
0.574 0.426 0.171
0.574 0.426 0.329
0.716 0.284 0.031
0.716 0.284 0.469
0.852 0.148 0.609
0.852 0.148 0.891
0.997 0.003 0.750
0.105 0.895 0.250
0.249 0.751 0.105
0.249 0.751 0.395
0.386 0.614 0.541
0.386 0.614 0.959
0.472 0.528 0.180
0.472 0.528 0.320
0.528 0.472 0.680
0.528 0.472 0.820
0.614 0.386 0.041
0.614 0.386 0.459
0.751 0.249 0.605
0.751 0.249 0.895
0.895 0.105 0.750
```

Computed properties:
The calculation puts the formation energy at -30 kJ per mole of atoms. As for the space group: No. 63.

Entry 2:
First-principles (PBE) data for a relaxed structure of Sc3Co2Si3, as listed in the Materials Project.

```
Sc3Co2Si3
1.0
1.963 -4.967 0.000
1.963 4.967 0.000
0.000 0.000 12.802
Sc Co Si
6 4 6
Direct
0.080 0.920 0.613
0.080 0.920 0.887
0.357 0.643 0.750
0.643 0.357 0.250
0.920 0.080 0.113
0.920 0.080 0.387
0.215 0.785 0.083
0.215 0.785 0.417
0.785 0.215 0.583
0.785 0.215 0.917
0.336 0.664 0.250
0.386 0.614 0.541
0.386 0.614 0.959
0.614 0.386 0.041
0.614 0.386 0.459
0.664 0.336 0.750
```

Computed properties:
The calculation puts the formation energy at -78 kJ per mole of atoms. As for the space group: No. 63.

Entry 3:
First-principles (PBE) data for a relaxed structure of ZrMo3, as listed in the Materials Project.

```
ZrMo3
1.0
5.206 0.000 0.000
0.000 5.206 0.000
0.000 0.000 5.206
Zr Mo
2 6
Direct
0.000 0.000 0.000
0.500 0.500 0.500
0.000 0.250 0.500
0.000 0.750 0.500
0.250 0.500 0.000
0.500 0.000 0.250
0.500 0.000 0.750
0.750 0.500 0.000
```

Computed properties:
The calculation puts the formation energy at 22 kJ per mole of atoms. As for the space group: No. 223.

Entry 4:
First-principles (PBE) data for a relaxed structure of TlAgTe2, as listed in the Materials Project.

```
TlAgTe2
1.0
3.569 0.000 0.000
0.000 3.569 0.000
0.000 0.000 19.010
Tl Ag Te
2 2 4
Direct
0.000 0.000 0.000
0.500 0.500 0.500
0.000 0.500 0.250
0.500 0.000 0.750
0.000 0.000 0.365
0.000 0.000 0.635
0.500 0.500 0.135
0.500 0.500 0.865
```

Computed properties:
The calculation puts the formation energy at -26 kJ per mole of atoms. As for the space group: No. 119.

Entry 5:
First-principles (PBE) data for a relaxed structure of BaLaEuSbO6, as listed in the Materials Project.

```
BaLaEuSbO6
1.0
0.000 4.319 4.319
4.319 0.000 4.319
4.319 4.319 0.000
Ba La Eu Sb O
1 1 1 1 6
Direct
0.000 0.000 0.000
0.750 0.750 0.750
0.500 0.500 0.500
0.250 0.250 0.250
0.024 0.024 0.476
0.024 0.476 0.024
0.024 0.476 0.476
0.476 0.024 0.024
0.476 0.024 0.476
0.476 0.476 0.024
```

Computed properties:
- - -
So much for the materials data:

Another indictment of big corporatist food, Inc. Not that anyone is paying attention.

Anonymous said...

We are non-hispanics living in Miami and have raised our children as non flesh eaters for health reasons. In Miami, Hispanics treat this option as if we are aliens. If you go into a Cuban cafe and ask for a sandwich with no meat, they treat you as if you are an alien. With every new news report that demonstrates just how dangerous our food sources for meat are (think swine flu, e-coli, etc.), we are grateful that we have made the right choice for our family. The corporate takeover of our food supply is more dangerous than big tobacco for purposely addicting people to substances that will ultimately end their lives, not to mention overloading our healthcare system. Yes, we have been paying attention for about 35 years now.

the other M

Steven in Miami said...

It has been shown over and over that a high protein diet increases cancer risk:

So what is the surprise? In this country we have a VERY high protein diet with cheap meat everywhere. In Cuba and Mexico, high protein density foods are very rare in the diet of the average local.

Anonymous said...

The other M

Sorry to bring this up. But what does Swine Flu have to do with a high protein diet?

You know you cant catch it from eating it right?